(Contents)
=====
[1]
Density functional theory data (ωB97M-V/def2-TZVPD) for a structure of composition C23H51BBrGaNO19.

```
97
C23H51BBrGaNO19 ωB97M-V/def2-TZVPD
C 4.453 3.067 -4.141
C 2.973 2.861 -4.447
C 2.502 1.481 -4.969
Br 3.917 0.110 -4.977
Ga 0.834 0.855 -3.943
B -0.629 2.405 -3.934
O -1.803 2.293 -3.204
N -0.484 3.683 -4.693
C -1.655 3.989 -5.526
C -0.187 4.774 -3.759
H 5.063 3.097 -5.044
H 4.837 2.308 -3.461
H 4.579 4.032 -3.639
H 2.693 3.595 -5.207
H 2.424 3.099 -3.532
H 2.209 1.590 -6.010
H 0.287 -0.462 -4.725
H 1.226 0.370 -2.458
H -2.033 1.364 -3.142
H -2.581 3.560 -5.133
H -1.498 3.605 -6.537
H -1.774 5.070 -5.611
H 0.445 5.526 -4.241
H -1.094 5.256 -3.374
H 0.363 4.394 -2.895
C 3.254 0.380 3.414
O 2.928 1.256 2.337
C 1.735 1.029 1.774
O 0.942 0.196 2.143
O 1.587 1.868 0.767
C 0.361 1.729 0.029
H 4.240 0.676 3.762
H 2.536 0.470 4.229
H 3.294 -0.652 3.068
H -0.494 1.916 0.678
H 0.299 0.745 -0.424
H 0.394 2.470 -0.762
C 8.964 -1.117 5.726
O 9.083 -1.116 4.303
C 8.021 -0.612 3.668
O 7.029 -0.181 4.197
O 8.246 -0.667 2.360
C 7.171 -0.162 1.551
H 9.888 -1.549 6.100
H 8.849 -0.103 6.103
H 8.116 -1.723 6.041
H 6.985 0.886 1.773
H 6.265 -0.740 1.717
H 7.498 -0.273 0.523
C 0.980 -2.844 2.111
O 1.467 -4.047 1.490
C 2.121 -4.859 2.301
O 2.339 -4.683 3.476
O 2.513 -5.931 1.601
C 3.243 -6.892 2.361
H 0.481 -2.275 1.335
H 0.279 -3.091 2.906
H 1.801 -2.260 2.511
H 2.637 -7.281 3.177
H 4.156 -6.455 2.762
H 3.490 -7.691 1.667
C -3.823 -2.882 -6.512
O -5.079 -2.231 -6.268
C -5.017 -1.304 -5.310
O -4.036 -1.013 -4.682
O -6.227 -0.754 -5.173
C -6.287 0.267 -4.171
H -4.013 -3.600 -7.305
H -3.072 -2.162 -6.828
H -3.478 -3.394 -5.617
H -5.615 1.088 -4.415
H -6.034 -0.139 -3.194
H -7.314 0.622 -4.159
C 2.307 -1.374 7.363
O 1.808 -0.072 7.040
C 1.346 0.621 8.075
O 1.317 0.250 9.222
O 0.919 1.802 7.629
C 0.388 2.660 8.640
H 2.639 -1.804 6.423
H 3.143 -1.301 8.056
H 1.520 -1.989 7.795
H 1.147 2.887 9.388
H -0.473 2.200 9.121
H 0.087 3.568 8.128
C -11.174 0.711 0.038
O -10.420 0.440 -1.146
C -10.331 -0.854 -1.456
O -10.826 -1.761 -0.837
O -9.603 -0.967 -2.564
C -9.417 -2.313 -3.016
H -11.156 1.790 0.158
H -12.199 0.364 -0.072
H -10.716 0.233 0.902
H -10.374 -2.775 -3.251
H -8.898 -2.901 -2.263
H -8.806 -2.249 -3.911
```

## Properties
HOMO-LUMO gap, Eh: 0.2258
Total charge: -1
Highest occupied orbital energy, eV: -4.202


[2]
Density functional theory data (ωB97M-V/def2-TZVPD) for a structure of composition C44H55Br2N2O3S2ScSi.

```
110
C44H55Br2N2O3S2ScSi ωB97M-V/def2-TZVPD
Sc -0.498 0.185 1.363
Br 3.143 1.625 7.641
C 1.915 1.142 6.295
C 1.171 -0.035 6.426
C 0.307 -0.431 5.431
C 0.172 0.320 4.254
O -0.620 -0.114 3.290
C 0.877 1.545 4.154
C 0.546 2.513 3.139
N -0.054 2.229 2.034
C -0.717 3.236 1.286
C -0.264 4.501 1.036
C -1.093 5.425 0.362
C -2.357 5.080 -0.025
C -2.838 3.768 0.199
C -4.136 3.334 -0.159
C -4.502 2.036 0.062
C -3.559 1.147 0.605
N -2.352 1.516 0.979
C -1.994 2.830 0.817
C 1.736 1.942 5.197
H 1.279 -0.634 7.321
H -0.270 -1.340 5.528
H 0.726 3.559 3.392
H 0.725 4.802 1.357
H -0.721 6.422 0.174
H -3.002 5.802 -0.509
H -4.827 4.037 -0.609
H -5.488 1.675 -0.193
H -3.805 0.099 0.729
H 2.260 2.887 5.125
O -1.392 -1.559 0.669
S -1.594 -3.042 0.350
C 0.090 -3.692 0.253
C 0.919 -3.524 1.521
C 2.426 -3.521 1.242
C 2.956 -2.403 0.349
S 2.895 -0.699 0.940
O 1.439 -0.510 1.367
C 3.812 -0.769 2.449
C 5.119 -0.303 2.394
C 5.885 -0.327 3.551
C 5.330 -0.788 4.737
C 4.014 -1.232 4.778
C 3.242 -1.229 3.628
C -2.173 -3.811 1.840
C -2.735 -5.073 1.694
C -3.185 -5.736 2.824
C -3.095 -5.123 4.068
C -2.555 -3.850 4.188
C -2.079 -3.179 3.070
H 0.501 -3.158 -0.606
H -0.026 -4.736 -0.047
H 0.692 -4.339 2.209
H 0.634 -2.604 2.029
H 2.707 -4.453 0.742
H 2.968 -3.525 2.190
H 2.436 -2.344 -0.612
H 4.013 -2.555 0.116
H 5.532 0.084 1.470
H 6.906 0.028 3.528
H 5.926 -0.793 5.640
H 3.588 -1.577 5.711
H 2.207 -1.549 3.651
H -2.836 -5.530 0.716
H -3.621 -6.721 2.732
H -3.465 -5.637 4.945
H -2.510 -3.371 5.157
H -1.661 -2.185 3.161
C -2.569 0.068 -5.054
C -2.164 0.508 -3.635
=====

(Assignment)
The reader should retype the part of the block above that starts with the line with "-10.420 0.440" and stops after the one with "C44H55Br2N2O3S2ScSi ωB97M-V/def2-TZVPD".

(Worked solution)
O -10.420 0.440 -1.146
C -10.331 -0.854 -1.456
O -10.826 -1.761 -0.837
O -9.603 -0.967 -2.564
C -9.417 -2.313 -3.016
H -11.156 1.790 0.158
H -12.199 0.364 -0.072
H -10.716 0.233 0.902
H -10.374 -2.775 -3.251
H -8.898 -2.901 -2.263
H -8.806 -2.249 -3.911
```

## Properties
HOMO-LUMO gap, Eh: 0.2258
Total charge: -1
Highest occupied orbital energy, eV: -4.202


[2]
Density functional theory data (ωB97M-V/def2-TZVPD) for a structure of composition C44H55Br2N2O3S2ScSi.

```
110
C44H55Br2N2O3S2ScSi ωB97M-V/def2-TZVPD